![]() | IALJS-19: “Literary Journalism and the Tides of History” – The Nineteenth International Conference for Literary Journalism Studies Marist College Poughkeepsie, NY, United States, May 28-30, 2025 |
Conference website | https://ialjs.org |
Submission link | https://easychair.org/conferences/?conf=ialjs19 |
Submission deadline | January 2, 2025 |
The International Association for Literary Journalism Studies invites submissions of original research papers, abstracts for research in progress and proposals for panels on Literary Journalism for the IALJS annual convention on 28-30 May 2025. The conference will be held on the campus of Marist College in Poughkeepsie, New York, USA, on the banks of the Hudson River.
The IALJS intends the conference to be a forum for scholarly work of both breadth and depth in the field of literary journalism, and all research methodologies are welcome, as is research on all aspects of literary journalism and/or literary reportage. For the purpose of scholarly delineation, our definition of literary journalism is “journalism as literature” rather than “journalism about literature”. The conference theme is Literary Journalism and the Tides of History, inspired by the unique character of the Hudson River, which rises and falls with the tides, and which flows through a valley long occupied by native peoples with a long storytelling tradition.
The International Association for Literary Journalism Studies is a multi-disciplinary learned society whose essential purpose is the encouragement and improvement of scholarly research and education in Literary Journalism. As an association in a relatively recently defined field of academic study, it is our agreed intent to be both explicitly inclusive and warmly supportive of a variety of scholarly approaches.
Submissions for Research Papers follow a two-step procedure: First, extended abstracts of 600-700 words, demonstrating significant progress toward a completed Research Paper (including research methodology and preliminary conclusions), must be submitted by 2 January 2025. Second, if accepted for presentation, the full paper must be submitted by 15 April 2025. Submitted research papers should not exceed 7,500 words, or about 25 double-spaced pages, plus endnotes. Please regard this as an upper limit; shorter papers are certainly welcome. Endnotes and bibliographic citations should follow the Chicago Manual of Style. Papers may not be simultaneously submitted to any other conferences. Papers previously published, presented, accepted or under review are ineligible. Only one paper per author will be accepted for presentation in the conference’s research sessions, and at least one author for each paper must be at the convention (live or virtually) in order to present the paper. If accepted, each paper presenter at a conference Research Session may be allotted no more than 15 minutes. If the full paper is not received on time, the proposal will automatically revert to being accepted as a Work-in-Progress submission (see below). To be considered, please observe the following guidelines:
- Submission via EasyChair is required: https://easychair.org/conferences/?conf=ialjs19. Please create an account and follow the instructions.
- Necessary data include: author/s, affiliation/s, contact details of the lead author, title of submission, keywords (5 max.), abstract summary (50 words), an extended abstract of 600-700 words, and author bio/s.
- Your name and affiliation should not appear anywhere in the abstract.
Full Research Papers are eligible for the Susan Greenberg Prize for Best Research Paper, and papers that win this award are given priority consideration to be published in the IALJS journal, Literary Journalism Studies.
[Between two parts of the page: crystal structures]
=====
Compound: LiCoSiO4
Source: the Materials Project database
Functional: GGA+U
Structure: relaxed

Structure (CIF):
```
data_LiCoSiO4
_cell_length_a 5.546
_cell_length_b 5.384
_cell_length_c 8.089
_cell_angle_alpha 90.00
_cell_angle_beta 130.13
_cell_angle_gamma 90.00
_space_group_name_H-M_alt 'P 1 c 1'
_space_group_IT_number 7
_space_group_name_Hall 'P -2yc'
loop_
_atom_site_label
_atom_site_fract_x
_atom_site_fract_y
_atom_site_fract_z
_atom_site_occupancy
Li1 0.000 0.173 0.000 1
Co1 0.386 0.329 0.718 1
Si1 0.651 0.181 0.482 1
O1 0.370 0.330 0.257 1
O2 0.583 0.119 0.957 1
O3 0.692 0.287 0.689 1
O4 0.986 0.202 0.527 1
```

Results
For the excess energy over the best structure of this formula in the dataset, the calculation gives 56 meV per atom. Its piezoelectric modulus e_max is 0.3 C/m².

Compound: LiCoSiO4
Source: the Materials Project database
Functional: GGA+U
Structure: relaxed

Structure (CIF):
```
data_LiCoSiO4
_cell_length_a 11.109
_cell_length_b 5.021
_cell_length_c 6.044
_cell_angle_alpha 90.00
_cell_angle_beta 90.00
_cell_angle_gamma 90.00
_space_group_name_H-M_alt 'P n a 21'
_space_group_IT_number 33
_space_group_name_Hall 'P 2c -2n'
loop_
_atom_site_label
_atom_site_fract_x
_atom_site_fract_y
_atom_site_fract_z
_atom_site_occupancy
Li1 0.077 0.170 0.000 1
Co1 0.167 0.672 0.746 1
Si1 0.172 0.670 0.250 1
O1 0.093 0.740 0.474 1
O2 0.106 0.781 0.023 1
O3 0.184 0.344 0.231 1
O4 0.192 0.303 0.771 1
```

Results
For the excess energy over the best structure of this formula in the dataset, the calculation gives 40 meV per atom. Its piezoelectric modulus e_max is 0.1 C/m².

Compound: Li5Co4Si6O20
Source: the Materials Project database
Functional: GGA+U
Structure: relaxed

Structure (CIF):
```
data_Li5Co4Si6O20
_cell_length_a 5.341
_cell_length_b 5.413
_cell_length_c 17.051
_cell_angle_alpha 94.04
_cell_angle_beta 90.19
_cell_angle_gamma 119.25
_space_group_name_H-M_alt 'P 1'
_space_group_IT_number 1
_space_group_name_Hall 'P 1'
loop_
_atom_site_label
_atom_site_fract_x
_atom_site_fract_y
_atom_site_fract_z
_atom_site_occupancy
Li1 0.000 0.000 0.000 1
Li2 0.014 0.914 0.685 1
Li3 0.506 0.905 0.285 1
Li4 0.662 0.900 0.791 1
Li5 0.679 0.801 0.488 1
Co1 0.015 0.582 0.820 1
Co2 0.655 0.215 0.648 1
Co3 0.852 0.231 0.151 1
Co4 0.855 0.592 0.321 1
Si1 0.171 0.246 0.337 1
Si2 0.314 0.560 0.643 1
Si3 0.353 0.248 0.841 1
Si4 0.542 0.579 0.141 1
Si5 0.704 0.408 0.988 1
Si6 0.984 0.405 0.489 1
O1 0.035 0.555 0.688 1
O2 0.061 0.963 0.806 1
O3 0.082 0.215 0.429 1
O4 0.171 0.950 0.308 1
O5 0.219 0.308 0.136 1
O6 0.278 0.606 0.547 1
O7 0.317 0.265 0.652 1
O8 0.338 0.540 0.827 1
O9 0.386 0.227 0.937 1
O10 0.475 0.538 0.327 1
O11 0.555 0.873 0.174 1
O12 0.613 0.840 0.676 1
O13 0.638 0.261 0.800 1
O14 0.676 0.634 0.052 1
O15 0.734 0.172 0.537 1
O16 0.754 0.505 0.193 1
O17 0.778 0.199 0.034 1
O18 0.888 0.593 0.437 1
O19 0.912 0.269 0.290 1
O20 0.942 0.622 0.930 1
```

Which ρ belongs to each record? In order, 2.841, 3.112, 2.940 g cm⁻³.
=====
Submitted abstracts for Work-in-Progress Sessions should not exceed 250 words. If accepted, each presenter at a conference Work-in-Progress session may be allotted no more than 10 minutes. To be considered, please observe the following guidelines:
- Submission via EasyChair is required: https://easychair.org/conferences/?conf=ialjs19. Please create an account and follow the instructions.
- Necessary data include: author/s, affiliation/s, contact details of the lead author, title of submission, keywords (5 max.), abstract summary (50 words), an extended abstract of approximately 250 words, and author bio/s.
- Your name and affiliation should not appear anywhere in the abstract.
- Submission via EasyChair is required: https://easychair.org/conferences/?conf=ialjs19. Please create an account and follow the instructions.
- Necessary data include: author/s, affiliation/s, contact details of the panel organizer/s, title of panel, keywords (5 max.), type of panel, description of panel (150-250 words), titles and summaries for all papers included in the panel (up to 100 words each), and panelist bios.
- Panels are encouraged on any topic related to the study, teaching, or practice of literary journalism.
Details of the programs of previous annual meetings can be found at: https://ialjs.org/past-ialjs-conferences/.
Someone pasted records of crystals at this point:
____________
Compound: Cs
Source: the Materials Project
Functional: PBE
Structure: optimized geometry

Results
The formation energy is 0.0422 eV per atom. The value obtained for the total magnetic moment is 0.0 Bohr magnetons per cell. The symmetry is C2/m, No. 12.

Lattice parameters (Å, degrees): 5.1101 5.2852 5.2852 69.67 73.27 106.73
Closest atoms and distances in Å follow each position.
Positions (direct):
Cs: 0.5000 0.0000 0.0000  8 Cs 5.11-5.61


# 1
DFT (PBE-GGA) results for a relaxed structure of La4Ge7.

abc: 7.8184 7.8184 12.3208
angles: 90.00 90.00 133.65
Sites, in units of the cell vectors:
Ge 0.4287 0.6034 0.9916
La 0.9926 0.4842 0.3792
La 0.4842 0.9926 0.6208
Ge 0.0745 0.4220 0.1267
La 0.5042 0.4958 0.7500
La 0.4958 0.5042 0.2500
La 0.9903 0.9903 0.5000
Ge 0.0307 0.3319 0.6587
Ge 0.6681 0.9693 0.8413
Ge 0.9693 0.6681 0.1587
Ge 0.0686 0.9314 0.7500
Ge 0.4220 0.0745 0.8733
Ge 0.6034 0.4287 0.0084
La 0.5158 0.0074 0.1208
Ge 0.9314 0.0686 0.2500
Ge 0.5713 0.3966 0.4916
La 0.0097 0.0097 0.0000
Ge 0.5780 0.9255 0.3733
Ge 0.3319 0.0307 0.3413
La 0.0074 0.5158 0.8792
Ge 0.9255 0.5780 0.6267
Ge 0.3966 0.5713 0.5084

Computed properties:
VASP energy	-60.445	eV/f.u.

---

# 2
DFT (PBE-GGA) results for a relaxed structure of NdMgAu.

abc: 7.8202 7.8202 4.1767
angles: 90.00 90.00 120.00
Sites, in units of the cell vectors:
Mg 0.7552 0.7552 0.5000
Au 0.6667 0.3333 0.5000
Mg 0.0000 0.2448 0.5000
Mg 0.2448 0.0000 0.5000
Au 0.3333 0.6667 0.5000
Nd 0.4095 0.4095 0.0000
Nd 0.0000 0.5905 0.0000
Nd 0.5905 0.0000 0.0000
Au 0.0000 0.0000 0.0000

Computed properties:
VASP energy	-11.594	eV/f.u.


# 1
## ZnMo2O4 (PBE with a Hubbard U)

Data for a geometry-optimized ZnMo2O4 structure.

Calculated values
As for the distance to the lowest polymorph of the same formula: 0.19 eV/f.u. For the magnetic moment, the calculation gives 72.00 Bohr magnetons per cell. As for the volume: 12.90 Å³/atom. The calculation puts the formation energy at -1183.8 kJ/mol of formula units.

Cell lengths 11.104, 6.324, 15.439 Å; angles 90.00, 91.24, 90.00 degrees
Space group Cm (No. 8)
Inequivalent atoms, fractional coordinates:
Zn 0.000 0.000 0.000 (multiplicity 2)
Zn 0.000 0.000 0.372 (multiplicity 2)
Zn 0.163 0.500 0.668 (multiplicity 2)
Zn 0.334 0.000 0.085 (multiplicity 2)
Zn 0.335 0.000 0.330 (multiplicity 2)
Zn 0.498 0.500 0.751 (multiplicity 2)
Mo 0.085 0.247 0.210 (multiplicity 4)
Mo 0.162 0.000 0.541 (multiplicity 2)
Mo 0.167 0.500 0.043 (multiplicity 2)
Mo 0.167 0.500 0.418 (multiplicity 2)
Mo 0.249 0.248 0.876 (multiplicity 4)
Mo 0.330 0.000 0.709 (multiplicity 2)
Mo 0.339 0.500 0.209 (multiplicity 2)
Mo 0.413 0.250 0.542 (multiplicity 4)
Mo 0.498 0.000 0.876 (multiplicity 2)
O 0.001 0.000 0.133 (multiplicity 2)
O 0.012 0.500 0.127 (multiplicity 2)
O 0.071 0.244 0.467 (multiplicity 4)
O 0.089 0.261 0.956 (multiplicity 4)
O 0.157 0.000 0.294 (multiplicity 2)
O 0.162 0.500 0.800 (multiplicity 2)
O 0.175 0.000 0.794 (multiplicity 2)
O 0.178 0.500 0.283 (multiplicity 2)
____________
Here the piece continues:
All research paper submissions will be evaluated on originality and importance of topic; literature review; clarity of research purpose; focus; use of original and primary sources and how they support the paper’s purpose and conclusions; writing quality and organization; and the degree to which the paper contributes to the study of literary journalism. Similarly, abstracts of works-in-progress and panel proposals will be evaluated on the degree to which they contribute to the study of literary journalism. All research paper and abstract submissions will be blind-juried, and submissions from students as well as faculty are encouraged.
Deadline for all submissions: No later than 2 January, 2025
Important note: Please be advised that it is a matter of IALJS policy that conference participants will be limited to presenting in no more than two conference sessions.
For more information regarding the conference or the association, please go to https://www.ialjs.org or contact:
- Prof. Tobias Eberwein, Austrian Academy of Sciences (Austria) IALJS President; e-mail: tobias.eberwein@oeaw.ac.at
- Prof. Willa McDonald, Macquarie University (Australia) IALJS First Vice-President; e-mail: willa.mcdonald@mq.edu.au
- Prof. Lisa Phillips, State University of New York New Paltz (U.SA.) IALJS Treasurer; e-mail: phillipl@newpaltz.edu
- Prof. Kevin Lerner, Marist College (U.S.A.) IALJS Secretary and conference site host; e-mail: kevin.lerner@marist.edu
NOTE: Submissions from students are encouraged, and a competitive Student Travel Fund is established to assist in funding student travel; applications available upon acceptance of submission.